## Source
____________
A geometry-optimized LaDy7Ho4 structure. Source: Alexandria via LeMat-Bulk, functional PBE.

```
LaDy7Ho4
1.0
6.366 -1.864 2.723
0.728 5.741 2.230
2.791 -2.306 10.786
Ho Dy La
4 7 1
direct
0.412 0.721 0.336
0.166 0.221 0.335
0.834 0.779 0.665
0.588 0.279 0.664
0.335 0.777 0.664
0.748 0.500 0.000
0.084 0.279 0.664
0.252 0.500 0.000
0.665 0.223 0.336
0.500 0.000 0.000
0.916 0.721 0.336
0.000 0.000 0.000
```

ΔH_f (0 K)   1 meV per atom
DOS at the Fermi energy   16.280 states/eV per cell
E above lowest polymorph   0.000 eV/atom
Magnetization   0.000 μB per atom
____________

## Exercise
It remains to copy every line further up that contains the word "Alexandria".

## Worked solution
A geometry-optimized LaDy7Ho4 structure. Source: Alexandria via LeMat-Bulk, functional PBE.